poetry, fiction, essays, interviews, translations, music, visual arts

Spring 2023


Lost and Found by Elyse Yost
Interlaced by Elyse Yost


The Man Who Couldn’t Fly

By Annie Johnson

The Old Gods

By Elyse Yost

Grape Jolly Ranchers

By Annie Johnson

Meet You at the Mailbox

By V. Amador

The Witch and the Queen

By Ava Fischer

Creative Non-Fiction

I’m Only Sleeping

By Claire Taylor

The Batman of Davis

By Elliot Russel


Maybe the Man in the Moon is Real

by Morgan Acord

The Life of a Tower Princess

By Sophia G.S.

Little Red Wagon

by Shannon Abbott

Parent to Child

by Leo V. Kaplan

Moores Park

by Claire Taylor

In the Palm of my Hand

by Sophia G.S.

Sonnet for What’s Between the Lines

by Phoenix Alarcio

Sonnet for Night Walks

by Shannon Abbott

May I Offer You a Rose

by Zoe Gurney

From the Editor

We are very excited to present this year’s edition of The Cauldron. After three years of non-physical editions, setbacks due to the COVID-19 pandemic, and a multitude of other factors, we are back in your hands. That is, provided you’re currently reading the physical copy and not the digital edition. It is somewhat stripped-down compared to years past, but it is here, and it is yours.

The amazing artwork on the covers of this edition was submitted by Elyse Yost. The front cover piece is titled “Interlaced” and the back cover is titled “Lost and Found.” While putting this edition together, we were faced with the challenge of organizing many wonderful yet distinct pieces of literature. How were we to assemble these into a cohesive magazine, with clear lines of thought? Well, here is guide to the forty-second edition of The Cauldron, as well as some insight into our thought process:

We start off with a series of proclamations, “I want” “I want” “I want.” With these strong beginnings, we intended to shine a light on the desires of those around us. What has the world prevented us from taking and enjoying for ourselves? How have many of us been denied the rights and privileges afforded to others? Strength in the face of adversity, resistance, and rebellion opposed to the weight of the world which threatens to crush us. I like to think of our first several pieces as the grievances of our generation.

With “This Story is Unavailable” and “Silence at 3am,” we move to the transitioning section of the edition. “Pondering” is how I would best describe this movement. What fascinating things do sleep and dreams bring us? What fantasies have played out in our minds? What curious events have we witnessed?

(Inserted here: data records)
<<<
{
  "formula": "HO2S2",
  "method": "ωB97M-V/def2-TZVPD",
  "homo_lumo_gap_ev": [5.59, 6.91],
  "s_squared": 2.006,
  "e_tot_ev": -25779.877,
  "spin_multiplicity": 3,
  "charge": -1,
  "relative_energy_kj_mol": 22.87,
  "elements": ["O", "O", "S", "S", "H"],
  "coordinates": [[-0.29277, -1.16895, -1.09162], [-0.07624, -0.71849, 1.32021], [1.63471, 1.42666, -0.11511], [-0.04533, -0.20284, -0.03570], [-1.22037, 0.66362, -0.07778]],
  "atomic_forces_ev_per_a": [[-0.18, -0.89, -0.93], [0.12, -0.39, 1.11], [1.58, 1.43, 0.00], [-2.17, 0.35, -0.18], [0.64, -0.50, 0.00]],
  "mulliken_charge": [-0.5875, -0.5763, -0.4557, 0.5621, 0.0575]
}

----------

Arrangement i

ORCA calculation (wB97M-V/def2-TZVPD) on a structure of composition C5H7NO2.

```
15
C5H7NO2 (wB97M-V/def2-TZVPD)
O 1.82 0.56 0.08
O 0.63 2.05 1.35
N -1.67 0.67 0.54
C -0.37 0.20 0.29
C -0.09 0.14 -1.30
C 0.25 -1.12 0.44
C 0.75 1.07 0.70
C 1.18 -0.55 -0.76
H 1.86 -1.16 -1.33
H -2.23 -0.20 0.88
H -1.65 1.37 1.30
H -0.43 -1.91 0.11
H -0.07 0.97 -1.92
H 0.69 -1.47 1.39
H -0.66 -0.62 -1.79
```

The total charge is 0. As for the HOMO-LUMO gap: 0.3843 hartree. For the HOMO energy, the calculation gives -0.3534 Ha.



Arrangement ii

ORCA calculation (wB97M-V/def2-TZVPD) on a structure of composition C5H7NO2.

```
15
C5H7NO2 (wB97M-V/def2-TZVPD)
O 0.55 1.96 0.79
O -0.94 0.50 0.53
N 0.07 2.35 -0.60
C -0.22 -1.45 -0.15
C -0.69 -0.02 -0.74
C 0.44 0.56 0.82
C -0.58 1.47 -1.39
C 0.40 -1.04 1.34
H 1.03 0.26 0.02
H -0.68 1.72 -2.39
H 0.41 -2.04 -0.85
H -1.23 -2.03 0.00
H 1.33 -1.46 1.61
H -0.32 -1.00 2.18
H 0.41 0.22 -1.18
```

The total charge is 0. As for the HOMO-LUMO gap: 0.3055 hartree. For the HOMO energy, the calculation gives -0.2931 Ha.



Arrangement iii

ORCA calculation (wB97M-V/def2-TZVPD) on a cluster of 2 separate species, C5H7NO2 in total.

```
15
C5H7NO2 (wB97M-V/def2-TZVPD)
O 0.88 1.84 -1.24
O 1.70 -0.84 -1.60
N 0.09 0.73 -0.92
C 0.30 -1.23 0.37
C 0.91 -0.48 -0.75
C -1.16 -0.77 0.04
C -0.61 0.69 0.29
C 0.37 0.10 1.27
H 0.66 -2.27 0.63
H -1.14 1.59 0.52
H -1.28 -0.93 -1.20
H -0.04 -0.21 2.30
H 1.55 0.33 1.13
H -1.85 -1.38 0.69
H -0.39 2.84 -1.53
```

The total charge is 0. As for the HOMO-LUMO gap: 0.2757 hartree. For the HOMO energy, the calculation gives -0.3273 Ha.



Arrangement iv

ORCA calculation (wB97M-V/def2-TZVPD) on an isolated molecule of C5H7NO2.

```
15
C5H7NO2 (wB97M-V/def2-TZVPD)
O 0.05 -2.26 1.24
O -1.30 -0.85 2.41
N 0.97 -0.33 -0.35
C 0.66 0.13 -1.74
C -0.52 1.53 1.02
C -1.32 1.06 0.08
C -0.52 -1.07 1.52
C -0.19 0.06 0.58
H 1.53 0.22 -2.43
H 1.73 0.20 0.00
H 0.07 -0.74 -2.19
H -2.08 0.97 -0.65
H 0.89 -2.14 0.70
H 0.06 2.23 1.55
H -0.05 1.00 -1.74
```

Its SMILES is CNC1(C(=O)O)C=C1. The total charge is 0. As for the HOMO-LUMO gap: 0.3899 hartree. For the HOMO energy, the calculation gives -0.3605 Ha.



Energetically preferred structure: arrangement i | next structure: +0.0504 hartree



Arrangement i
>>>

Our final segment opens with “Little Red Wagon.” Here, we have absorbed all of our previous experiences. We have raged and cried and wondered, and now we will hope. We will hope for love and curiosity and that the injustices of the world may one day be washed away. This year’s edition of The Cauldron closes with the poem “May I Offer You a Rose.” And though you will soon have the opportunity to read it yourself (or perhaps you skipped ahead and have read it before this preface), I would like to share a couple lines from this delightful piece:

“We embrace life. We embrace community. We work to embrace ourselves.”

These are the final words I would like to say to all those who have been so thoughtful as to pick up a copy of this edition: Remember that we are all on this little rock hurtling through space.. There are many who have come before us, and there are many who will come after. But you are here now, so enjoy every moment you can. Love yourself. Love your friends. Love your enemies. We have to live together, after all.

Thomas Hole,


Divine Crow Awards

The Divine Crow Awards are given each year to three exceptional pieces in The Cauldron. A writer from the extended Kalamazoo community judges the pieces blindly.

This year’s judge is Sofía Aguilar, a first generation college graduate and recipient of many awards for creative writing. She currently works as a freelance journalist operating out of Los Angeles.

The recipients of this year’s Divine Crow Awards are:

Stephanie Vibbert Award

The Stephanie Vibbert Award is given to one work which exemplifies the intersection between creative writing and community engagement. This award honors Stephanie Vibbert, a senior English and Psychology double major who died in a car accident returning from a peace march in Washington D.C. in 2003. Stephanie’s life was passionately devoted to both creativity and community service. This award was created to encourage Kalamazoo College writers to use their creativity to reflect upon and explore issues of poverty, human rights, sexual orientation, race, class, gender, and cultural diversity.

The recipient of this year’s Stephanie Vibbert Award is “May I Offer You a Rose” by Zoe Gurney.



  • Thomas Hole
  • Phoenix Alarcio

Submissions Editor

  • Greta Salmun


  • Hannah Durant


  • Keegan Sweeney
  • Lana Alvey
  • Gi Salvatierra
  • Ana Garcia
  • Sofia Rowland
  • Iris Chalk
  • Fiona Schaffer
  • Hannah Durant

Staff Advisor

  • Dr. Andy Mozina


Thomas would like to acknowledge and extend his gratitude to:

Everyone who submitted pieces for this new era of The Cauldron.

Phoenix Alarcio, my co-editor-in-chief and wonderful teammate.

Liz Candido, for allowing us to unveil the cauldron in Stetson Chapel this year as in years past.

Jon Collier, Carolyn Zinn, and Debra Stevens, for helping us to resurrect The Cauldron in physical and digital form.

The entirety of the cauldron staff, who have stuck with me despite communication and scheduling troubles.

Sofía Aguilar, for combing through submissions to choose this year’s winners.

And you, the readers. I mean it. Thank you.